Hi Roger,
This is a Christian chat forum, so you must understand that we will come to everything in light of the word of God. If you don't believe the Bible and think it's false, why come here to argue your point?
Between two parts of the page: materials data =
........
1.
Computed, not measured: crystalline RbMg149 at its relaxed geometry at the PBE level of DFT. Values from VASP.

Summary:
energy of formation from the pure elements	-12	meV per atom
SG	P-6m2, No. 187

Geometry as Quantum ESPRESSO input:
```
&SYSTEM
  ibrav = 0, nat = 150, ntyp = 2
/
ATOMIC_SPECIES
Mg 24.30 Mg.upf
Rb 85.47 Rb.upf
CELL_PARAMETERS angstrom
-4.9302 13.5090 7.0818
-10.4511 -11.8021 -2.9043
3.1244 -6.2233 14.0466
ATOMIC_POSITIONS crystal
Mg 0.0000 0.0000 0.3339
Mg 0.9994 0.7982 0.6645
Mg 0.2018 0.2012 0.3355
Mg 0.6637 0.9322 0.1681
Mg 0.8000 0.5999 0.6673
Mg 0.9998 0.5992 0.3340
Mg 0.4000 0.6000 0.3339
Mg 0.2632 0.1316 0.8348
Mg 0.5994 0.5992 0.6660
Mg 0.0706 0.9294 0.1759
Mg 0.0673 0.3342 0.5000
Mg 0.2677 0.1338 0.5000
Mg 0.2685 0.3363 0.1681
Mg 0.5998 0.7999 0.3339
Mg 0.3993 0.6007 0.0000
Mg 0.5994 0.5992 0.3340
Mg 0.5960 0.7980 0.0000
Mg 0.4665 0.9330 0.1678
Mg 0.4666 0.9332 0.5000
Mg 0.2669 0.5338 0.5000
Mg 0.6667 0.3333 0.5000
Mg 0.4008 0.0002 0.6660
Mg 0.2671 0.5342 0.8327
Mg 0.0670 0.5335 0.1678
Mg 0.2685 0.9322 0.8319
Mg 0.2669 0.9327 0.5000
Mg 0.2669 0.7331 0.5000
Mg 0.5970 0.9995 0.0000
Mg 0.8662 0.7323 0.5000
Mg 0.0668 0.9332 0.5000
Mg 0.6001 0.3999 0.6669
Mg 0.0668 0.1336 0.5000
Mg 0.4665 0.5335 0.1678
Mg 0.8659 0.5330 0.5000
Mg 0.4658 0.1331 0.1665
Mg 0.4666 0.5334 0.5000
Mg 0.6006 0.2011 0.0000
Mg 0.8669 0.3327 0.8335
Mg 0.6671 0.1341 0.5000
Mg 0.4008 0.0002 0.3340
Mg 0.7876 0.7900 0.0000
Mg 0.7988 0.0006 0.3355
Mg 0.6658 0.9327 0.5000
Mg 0.8588 0.9294 0.1759
Mg 0.8684 0.1316 0.1652
Mg 0.0024 0.2124 0.0000
Mg 0.6671 0.5330 0.5000
Mg 0.7989 0.2011 0.0000
Mg 0.8000 0.2000 0.6673
Mg 0.9994 0.2012 0.3355
Mg 0.6001 0.3999 0.3331
Mg 0.2020 0.4040 0.0000
Mg 0.7876 0.9976 0.0000
Mg 0.7998 0.3999 0.3331
Mg 0.8684 0.1316 0.8348
Mg 0.7998 0.3999 0.6669
Mg 0.8000 0.2000 0.3327
Mg 0.0706 0.9294 0.8241
Mg 0.4000 0.8001 0.6661
Mg 0.4001 0.2000 0.6673
Mg 0.3993 0.7987 0.0000
Mg 0.0005 0.5975 0.0000
Mg 0.2001 0.7999 0.3339
Mg 0.8664 0.9332 0.5000
Mg 0.0024 0.7900 0.0000
Mg 0.6673 0.5342 0.1665
Mg 0.0678 0.3363 0.1681
Mg 0.4025 0.4030 0.0000
Mg 0.4665 0.5335 0.8322
Mg 0.4670 0.1341 0.5000
Mg 0.4658 0.7329 0.1673
Mg 0.9994 0.2012 0.6645
Mg 0.6673 0.5342 0.8335
Mg 0.7989 0.3995 0.0000
Mg 0.6637 0.7315 0.8319
Mg 0.7989 0.5977 0.0000
Mg 0.0678 0.7315 0.1681
Mg 0.2013 0.6007 0.0000
Mg 0.0005 0.4030 0.0000
Mg 0.6673 0.1331 0.8335
Mg 0.2001 0.7999 0.6661
Mg 0.4662 0.7331 0.5000
Mg 0.4658 0.7329 0.8327
Mg 0.7988 0.7982 0.6645
Mg 0.4008 0.4006 0.3340
Mg 0.2001 0.4002 0.3339
Mg 0.5994 0.0002 0.6660
Mg 0.7988 0.7982 0.3355
Mg 0.8669 0.5342 0.1665
Mg 0.9994 0.7982 0.3355
Mg 0.0668 0.5334 0.5000
Mg 0.6001 0.2002 0.3331
Mg 0.8684 0.7368 0.8348
Mg 0.8000 0.5999 0.3327
Mg 0.8684 0.7368 0.1652
Mg 0.0673 0.7331 0.5000
Mg 0.2100 0.2124 0.0000
Mg 0.4658 0.1331 0.8335
Mg 0.6673 0.1331 0.1665
Mg 0.1999 0.6000 0.6661
Mg 0.4665 0.9330 0.8322
Mg 0.0706 0.1412 0.8241
Mg 0.0670 0.5335 0.8322
Mg 0.6006 0.3994 0.0000
Mg 0.9998 0.5992 0.6660
Mg 0.7988 0.0006 0.6645
........
I, for one, could never swallow that everything came into being by chance, with no guiding hand behind it. The universe is so precise and ordered that it is impossible. And the thought that at one time there was nothing and then that nothing decided to make itself into something is illogical. It is a fundamental error against logic. Out of nothing nothing could possibly come. But when we listen to the Bible's declaration that in the beginning God created the heavens and the earth, it makes sense. I wasn't there to see it made and I don't claim to know it all, but I see the evidence all around!!!!
# Materials data that have nothing to do with the article
'''
Density functional theory data (PBE with a Hubbard U) for CaLaCrSnO6 after structural relaxation.

Summary:
Raw total energy = -6.7606 eV per atom
Magnetic moment = 1.0 μB/f.u.
Energy with MP2020 corrections = -73.7 eV for the cell shown
SG = F-43m (216)
Energy above the most stable polymorph in this dataset = 564 meV per atom

CIF file:
```
data_CaLaCrSnO6
_symmetry_space_group_name_H-M 'P 1'
_symmetry_Int_Tables_number 1
_symmetry_space_group_name_Hall 'P 1'
_cell_length_a 5.7312
_cell_length_b 5.7312
_cell_length_c 5.7312
_cell_angle_alpha 60.00
_cell_angle_beta 60.00
_cell_angle_gamma 60.00
loop_
_atom_site_label
_atom_site_type_symbol
_atom_site_fract_x
_atom_site_fract_y
_atom_site_fract_z
Ca1 Ca 0.0000 0.0000 0.0000
La1 La 0.7500 0.7500 0.7500
Cr1 Cr 0.5000 0.5000 0.5000
Sn1 Sn 0.2500 0.2500 0.2500
'''
# The materials data stop here
Just the fact that we have the intelligence to even ask such questions is remakable. If we came about by chance, how did we develope the trait of thinking and pondering, not only ourselves, but the world around us? And why do humans have eyes? And why are there so many beautiful things in the world for those eyes to see? How could natural selection make beautiful things, including humans, and then decide that we needed eyes in order to see it all??? Do you really think blind chance could really be the answer to all of this? In fact, chance has no meaning. In and of itself it is nothing, chance can't create. Chance may be used in a loose sense when describing mathematical possibilites, but in the end it really means nothing. Chance is just a word to describe what we can't understand.
Again, I would encourage you to go to the website: The institute for creation research and at least get a Christian scientist's perspective on evolution. And more importantly, my friend, read the Bible. Read it prayerfully, asking God to show you the truth of His word, His salvation and the world to come. Start in the book of John in the New Testament. Because when all is said and done, all of the arguing in the world won't bring us to truth without God helping us. And an understanding of science won't bring us one step closer to God if He doesn't open our eyes.
== Unrelated to this text: materials data ==
<<<
Entry 1:
Computed, not measured: crystalline Ti2CoP2O10 at its relaxed geometry at the GGA+U level of DFT.

- Energy with MP2020 corrections: -8.438 eV per atom

a b c (Å): 7.495 10.531 10.528
angles (deg): 90.17 110.83 110.83
Element x y z (fractional)
Ti (0.708, 0.098, 0.375)
O (0.324, 0.546, 0.538)
O (0.676, 0.954, 0.962)
O (0.088, 0.948, 0.699)
Ti (0.292, 0.402, 0.125)
O (0.000, 0.286, 0.445)
O (0.073, 0.432, 0.697)
O (0.824, 0.039, 0.546)
Ti (0.293, 0.902, 0.625)
P (0.996, 0.435, 0.814)
O (0.000, 0.714, 0.555)
O (0.817, 0.797, 0.301)
P (0.496, 0.814, 0.936)
O (0.927, 0.568, 0.303)
P (0.996, 0.936, 0.314)
O (0.412, 0.302, 0.552)
Co (0.000, 0.250, 0.250)
O (0.499, 0.555, 0.214)
P (0.004, 0.564, 0.186)
O (0.183, 0.703, 0.199)
O (0.912, 0.552, 0.801)
O (0.500, 0.445, 0.786)
P (0.504, 0.686, 0.564)
O (0.000, 0.214, 0.055)
O (0.573, 0.197, 0.432)
O (0.183, 0.203, 0.699)
O (0.817, 0.297, 0.801)
O (0.427, 0.802, 0.567)
O (0.427, 0.303, 0.068)
O (0.824, 0.539, 0.046)
O (0.176, 0.461, 0.954)
Ti (0.792, 0.125, 0.902)
Ti (0.707, 0.598, 0.875)
P (0.004, 0.065, 0.686)
Co (0.500, 0.750, 0.250)
O (0.073, 0.932, 0.197)
Ti (0.208, 0.375, 0.598)
O (0.683, 0.199, 0.203)
O (0.412, 0.802, 0.052)
O (0.317, 0.301, 0.297)
O (0.317, 0.801, 0.797)
O (0.927, 0.068, 0.803)
O (0.912, 0.052, 0.302)
O (0.573, 0.698, 0.933)
O (0.588, 0.198, 0.948)
O (0.588, 0.698, 0.448)
Ti (0.208, 0.875, 0.098)
Co (0.000, 0.750, 0.750)
Ti (0.792, 0.625, 0.402)
P (0.496, 0.314, 0.436)
O (0.176, 0.961, 0.454)
O (0.676, 0.454, 0.461)
O (0.324, 0.046, 0.039)
O (0.088, 0.448, 0.198)
P (0.504, 0.186, 0.064)
O (0.501, 0.945, 0.286)
O (0.683, 0.699, 0.703)
O (0.500, 0.055, 0.714)
Co (0.500, 0.250, 0.750)
O (0.000, 0.786, 0.945)

---

Entry 2:
Computed, not measured: crystalline CaZrNbFeO7 at its relaxed geometry at the GGA+U level of DFT.

- SG: P-1, No. 2
- Energy with MP2020 corrections: -8.859 eV per atom

a b c (Å): 7.388 7.414 11.597
angles (deg): 81.33 81.03 61.08
Element x y z (fractional)
O (0.939, 0.834, 0.292)
O (0.881, 0.122, 0.078)
Ca (0.498, 0.747, 0.497)
Ca (0.502, 0.253, 0.503)
O (0.108, 0.477, 0.585)
O (0.119, 0.878, 0.922)
O (0.332, 0.606, 0.401)
O (0.558, 0.231, 0.286)
O (0.061, 0.166, 0.708)
O (0.576, 0.830, 0.290)
O (0.812, 0.559, 0.786)
Nb (0.888, 0.615, 0.245)
O (0.529, 0.891, 0.915)
O (0.751, 0.450, 0.219)
O (0.471, 0.109, 0.085)
O (0.125, 0.289, 0.929)
Nb (0.112, 0.385, 0.755)
O (0.160, 0.068, 0.207)
Zr (0.763, 0.009, 0.973)
O (0.249, 0.550, 0.781)
O (0.442, 0.769, 0.714)
Fe (0.864, 0.134, 0.251)
O (0.892, 0.523, 0.415)
O (0.875, 0.711, 0.071)
O (0.609, 0.328, 0.905)
Ca (0.747, 0.497, 0.002)
O (0.424, 0.170, 0.710)
Nb (0.380, 0.108, 0.256)
O (0.840, 0.932, 0.793)
Zr (0.010, 0.764, 0.471)
Ca (0.253, 0.503, 0.998)
O (0.876, 0.119, 0.423)
O (0.124, 0.881, 0.577)
O (0.668, 0.394, 0.599)
Nb (0.620, 0.892, 0.744)
O (0.391, 0.672, 0.095)
Fe (0.136, 0.866, 0.749)
Fe (0.430, 0.533, 0.246)
Fe (0.570, 0.467, 0.754)
O (0.284, 0.128, 0.430)
O (0.716, 0.872, 0.570)
>>>
I can truly say that the Lord Jesus came into the world to save sinners, and I am the foremost of all. But He did save me by His grace. There was nothing good in me to commend me to God. Not only does the Bible teach that, but I know it in my own heart.
I don't like arguing for the sake of arguing, but that you might know the truth of God and be saved for the world to come. I am nothing. I admit I have a peanut brain compared to all of the scientists that you speak of. I use the little knowledge that God has given me to help others to see Him. In the end, arguing without care of the other person is useless and wrong.
God bless you, my friend.